HANSCOM AIR FORCE BASE, Mass. – Base officials have reintroduced an Interactive Customer Evaluation system for members of the community here to voice opinions, concerns, or offer suggestions on services and support to leadership.
ICE provides communication between customers and base leadership, ultimately improving the overall experience for everyone.
“The ICE system serves as a platform for you to share your experiences and provide valuable insights regarding the services and support you receive from Hanscom Air Force Base,” wrote Col. Taona Enriquez, installation commander, in an email to the workforce.
The tool is available to Hanscom AFB civilian, enlisted and officers, as well as their families, and retirees.
“Whether it's medical facilities, housing, food services, recreational activities, or customer service interactions, ICE allows you to share your experiences and contribute to the continuous improvement effort,” said Tech. Sgt. Heather Houlton, 66th Air Base Group Commander’s Action Group NCO in charge, who oversees the platform for Hanscom AFB.
By accessing the ICE system, available at https://ice.disa.mil/, users can rate their experiences and provide specific comments.
To initiate, follow these steps:
Step 1: Access the ICE System at https://ice.disa.mil/ or via a QR code.
Step 2: Locate "Hanscom Air Force Base."
Step 3: Select the base service you wish to comment on.
Step 4: Provide your feedback and contact information.
Step 5: Submit your evaluation.
“Take the time to fill out the feedback form thoughtfully and provide as much detail as possible,” wrote Enriquez. “Your feedback is invaluable in helping us understand your experience and make meaningful improvements.”
According to officials who manage the site, responses are confidential and provided to the responsible base agency.
Unrelated to this entry: data records =
********
1.
{
  "formula": "C22H49O15P3S2",
  "method": "ωB97M-V with the def2-TZVPD basis set",
  "homo_ev": -9.0,
  "lumo_ev": -0.1100,
  "total_energy_ha": -3816.74250,
  "charge": 0,
  "species": ["C", "H", "H", "H", "H", "O", "H", "H", "H", "O", "H", "H", "H", "C", "H", "O", "O", "C", "H", "O", "H", "H", "O", "O", "H", "P", "C", "O", "C", "C", "H", "H", "O", "O", "O", "P", "S", "H", "C", "H", "C", "H", "O", "C", "H", "H", "H", "C", "H", "H", "H", "H", "H", "O", "O", "H", "H", "O", "H", "H", "H", "C", "H", "H", "H", "H", "C", "H", "H", "C", "C", "H", "C", "C", "H", "C", "H", "H", "S", "H", "P", "H", "H", "C", "C", "C", "H", "H", "C", "H", "C"],
********
Here the entry continues =
“The ICE system allows you to receive updates on the progress made in response to your feedback,” said Houlton. “There is an option for users to leave an email address to receive notifications on actions taken to address concerns, improvements implemented, and other relevant information.”
The tool offers additional benefits to the Hanscom AFB community.
“It ensures transparency and accountability by promptly forwarding feedback to units for review and action,” said Houlton. “Personnel responsible for addressing customer concerns can access the system and respond directly to each comment or complaint, fostering effective communication and facilitating prompt resolutions.”
Base officials also offer other ways for customers to provide feedback.
“Another way we aim to capture your feedback is the Installation Commander's Straight Talk,” wrote Enriquez. “This is a great tool to facilitate discussion on a variety of Hanscom issues especially after working with your front-line supervisors, first sergeants and commanders.”
The Straight Talk hotline can be reached at 781-225-1380, or feedback can be e-mailed to hanscom.straighttalk@us.af.mil.
For further information on the ICE platform or Straight Talk Hotline, contact 66.abg.workflow@us.af.mil.